(Exercise)
Reproduce the lines further down up to the one that holds "1.71201 0.207", that line included, please.

(File)
56
Properties=species:S:1:pos:R:3:lowdin_charge:R:1 method="wB97M-V/def2-TZVPD" total_charge=+1 e_tot_ev=-42655.1813 spin_multiplicity=1 gap_ev=7.1
C -1.37550 0.39508 -1.69284 -0.092
C -0.47120 1.28523 -2.55702 -0.222
C 1.01564 0.93245 -2.44441 -0.192
N 1.73353 1.64930 -1.36414 0.047
C 1.48415 1.06793 -0.07738 -0.227
C 1.91603 -0.22648 0.17208 0.095
C 1.63741 -0.74303 1.41996 -0.152
C 2.01724 -2.13691 1.75950 -0.003
B 3.58021 -2.11298 2.16284 -0.631
O 3.99860 -1.05661 2.95373 0.160
O 4.44025 -3.05846 1.71201 0.207
C 0.94945 0.16731 2.27686 -0.186
P 0.43600 -0.39467 3.98435 0.478
N -0.88773 -1.18252 3.84269 -0.133
O 0.32262 0.91290 4.86082 -0.110
O 1.57524 -1.22033 4.70891 -0.106
N 0.58811 1.38659 2.01366 0.173
N 0.86653 1.84074 0.79812 -0.031
C 0.41758 3.21810 0.48181 -0.083
C 1.62013 4.19556 0.45073 -0.203
C 2.78697 3.76713 1.35615 -0.087
H -1.13709 0.46457 -0.62523 0.056
H -2.41389 0.71268 -1.81598 0.080
H -1.33996 -0.64840 -2.01335 0.069
H -0.78110 1.12402 -3.59249 0.116
H -0.62585 2.34707 -2.35307 0.099
H 1.49276 1.23661 -3.37842 0.126
H 1.10286 -0.16268 -2.40157 0.117
H 2.72799 1.52388 -1.53488 0.137
H 2.43074 -0.81708 -0.57309 0.155
H 1.97787 -2.70852 0.82763 0.133
H 1.38994 -2.57872 2.52758 0.105
H 4.83588 -0.68233 2.65756 0.119
H 5.32538 -2.86704 2.04675 0.123
H -1.20483 -1.27067 2.88500 -0.009
H -0.57081 1.27173 4.77863 0.095
H 1.24411 -2.13164 4.72329 0.096
H -0.24514 3.50887 1.29497 0.131
H -0.15293 3.20609 -0.44002 0.108
H 1.95946 4.25989 -0.58217 0.101
H 1.25121 5.15694 0.80899 0.114
H 3.32234 2.90625 0.94078 0.065
H 3.51388 4.57443 1.41928 0.083
H 2.39265 3.48092 2.33403 0.076
C -4.06957 -1.98409 -4.18183 -0.359
O -2.95314 -2.18103 -4.62279 0.005
N -4.55410 -2.48599 -3.02648 -0.202
C -5.90143 -2.20055 -2.56877 -0.055
C -3.70049 -3.33833 -2.22005 -0.042
H -4.80119 -1.35395 -4.71461 0.133
H -5.86287 -1.70343 -1.59725 0.088
H -6.46187 -3.13188 -2.47112 0.092
H -6.41355 -1.55306 -3.27711 0.084
H -2.80077 -2.78870 -1.93668 0.074
H -3.40345 -4.20597 -2.81008 0.096
H -4.22427 -3.66625 -1.32589 0.088

* * * * *

[1]
11 unconnected molecules or ions with the total composition C10H42N20O11, computed with wB97M-V/def2-TZVPD.

Geometry as XYZ:
```
83
Properties=species:S:1:pos:R:3:lowdin_charge:R:1
N 1.368 -9.770 13.720 0.159
C 2.750 -9.793 13.646 -0.673
N 3.414 -8.681 13.268 0.155
O 3.385 -10.772 14.026 -0.003
H 1.038 -8.969 14.267 0.109
H 1.106 -10.615 14.189 0.066
H 2.999 -8.047 12.595 0.105
H 4.344 -9.013 12.981 0.121
N 4.083 -10.525 20.700 0.146
C 3.082 -10.085 19.766 -0.588
N 1.828 -9.793 20.313 0.159
O 3.302 -9.922 18.590 0.020
H 3.715 -10.676 21.626 0.073
H 4.767 -11.223 20.430 0.101
H 1.649 -10.132 21.233 0.078
H 1.014 -9.526 19.768 0.095
N -2.354 -9.590 17.443 0.118
C -3.510 -10.403 17.624 -0.651
N -3.787 -11.444 16.717 0.145
O -4.284 -10.097 18.497 0.014
H -2.538 -8.693 17.865 0.098
H -1.703 -9.803 16.683 0.078
H -3.016 -11.920 16.237 0.052
H -4.512 -12.131 16.956 0.099
N -3.388 -16.023 17.836 0.159
C -2.848 -14.852 17.446 -0.657
N -1.851 -14.355 18.264 0.191
O -3.247 -14.291 16.450 0.008
H -3.779 -16.528 17.069 0.104
H -2.808 -16.589 18.457 0.112
H -1.719 -13.365 18.143 0.065
H -1.721 -14.703 19.181 0.085
N 3.624 -13.649 14.707 0.153
C 3.789 -14.465 15.795 -0.670
N 4.704 -14.103 16.788 0.180
O 3.038 -15.376 15.976 0.019
H 3.016 -14.030 13.980 0.097
H 4.255 -12.902 14.383 0.097
H 4.755 -14.851 17.445 0.053
H 5.601 -13.687 16.562 0.102
N 1.085 -13.885 10.441 0.136
C 2.184 -13.066 10.183 -0.617
N 2.915 -12.642 11.328 0.138
O 2.480 -12.642 9.058 0.008
H 1.066 -14.323 11.345 0.063
H 1.033 -14.581 9.694 0.108
H 2.451 -12.713 12.224 0.057
H 3.327 -11.738 11.085 0.096
N 2.100 -14.965 18.414 0.182
C 2.994 -15.148 19.381 -0.718
N 2.762 -14.555 20.580 0.153
O 4.054 -15.724 19.197 0.002
H 2.346 -15.516 17.608 0.063
H 1.141 -14.682 18.528 0.087
H 3.471 -14.811 21.270 0.110
H 2.136 -13.768 20.655 0.051
N -2.092 -12.434 11.897 0.158
C -1.721 -13.189 12.983 -0.669
N -2.670 -13.604 13.817 0.168
O -0.571 -13.628 13.107 -0.027

(Completed)
56
Properties=species:S:1:pos:R:3:lowdin_charge:R:1 method="wB97M-V/def2-TZVPD" total_charge=+1 e_tot_ev=-42655.1813 spin_multiplicity=1 gap_ev=7.1
C -1.37550 0.39508 -1.69284 -0.092
C -0.47120 1.28523 -2.55702 -0.222
C 1.01564 0.93245 -2.44441 -0.192
N 1.73353 1.64930 -1.36414 0.047
C 1.48415 1.06793 -0.07738 -0.227
C 1.91603 -0.22648 0.17208 0.095
C 1.63741 -0.74303 1.41996 -0.152
C 2.01724 -2.13691 1.75950 -0.003
B 3.58021 -2.11298 2.16284 -0.631
O 3.99860 -1.05661 2.95373 0.160
O 4.44025 -3.05846 1.71201 0.207